The graduate program in Acoustical Studies seeks high-achieving candidates, from a variety of backgrounds, with a deep passion for understanding aural-spatial interaction, critical listening and the human condition. Acoustics is an interdisciplinary pursuit, which is both calculated and perceived. As such, students come from varied undergraduate disciplines, including architecture, audio/music technology, electrical or mechanical engineering, physics, computer science, recording sciences and music. Regardless of background, students must be capable of nimbly functioning at the intersection of spatial, technical, musical and creative thought.

Highly desirable candidates might include (i) a student of physics or wave mechanics, who is also an accomplished musician, (ii) a technically-minded student of architecture with a specific interest the design, modeling and perceptual implications of spaces for performance, (iii) an engineering student who studies signal processing and has interest in understanding spatial room acoustics measurements for analysis or simulation, or (iv) a student of music or music technology, with a solid math and physics foundation, and an interest in the perception of music and speech, in various urban environments, with differing noise conditions.

Due to the distinctiveness of this program, requiring an uncommon mix of capabilities, each applicant is evaluated individually, based on his/her background, education and experiences. Admission is selective, as student cohorts are small, and the varied education and experiences of the students contributes to the richness of the program.

Regardless of previous experience or education, as a part of his/her undergraduate education, each candidate must have successfully completed one year of coursework in college physics, one year of calculus, and one year of audio/acoustics fundamentals, basic audio engineering, music technology, or equivalent. A background in music, with the ability to play one (or more) instruments at a high level, is expected, although a Bachelor of Music is not required.

We look forward to the mix of applicants and unique backgrounds, each year, and we look forward to your application to the Acoustical Studies program. The Application Deadline is December 1, each year, for enrollment the following Fall Semester. International students must demonstrate competencies in English commensurate with expectations for Peabody’s Master of Music degree program.

For more information please see the Application Instructions. Note: An interview will be set up as part of the application process.

== Next to the article, the page also holds data records ==
Record 1
This record from Alexandria via LeMat-Bulk describes La6Nd3Ho after structural relaxation. The functional is PBE. Values from VASP.

Calculated values
energy above the lowest structure with this stoichiometry	0	meV per atom
space-group type	P2_1/m (11)

```
&SYSTEM
  ibrav = 0, nat = 20, ntyp = 3
/
ATOMIC_SPECIES
Nd 144.24 Nd.upf
La 138.91 La.upf
Ho 164.93 Ho.upf
CELL_PARAMETERS angstrom
-0.3563 -2.1956 -2.8867
16.6658 2.7285 -4.1322
-9.9372 -11.0462 9.6284
ATOMIC_POSITIONS angstrom
Nd 6.9525 -3.9479 -1.3057
Nd 7.8047 -0.4367 -1.7813
Nd 5.3291 -7.9756 4.2585
Nd 1.0432 -2.5377 -1.6490
Nd -0.5802 -6.5655 3.9152
Nd -1.4325 -10.0767 4.3908
La 2.5218 -7.1388 1.6681
La -3.8807 -7.8950 3.0335
La -4.4948 -9.2621 6.4495
La 4.4337 -1.8404 -2.5979
La -7.9501 -10.0361 7.4646
La 5.9902 -6.6273 0.8510
La 0.3821 -3.8861 1.7585
La 14.3223 -0.4773 -4.8551
La 1.9386 -8.6729 5.2073
La 10.2530 -2.6184 -0.4240
La 10.8671 -1.2512 -3.8400
La 3.8505 -3.3746 0.9414
Ho 9.4482 -6.1051 0.0271
Ho -3.0759 -4.4082 2.5824
```

---

Record 2
This record from Alexandria via LeMat-Bulk describes La4NdHo after structural relaxation. The functional is PBE. Values from VASP.

Calculated values
energy above the lowest structure with this stoichiometry	79	meV per atom
space-group type	C2/m (12)

```
&SYSTEM
  ibrav = 0, nat = 6, ntyp = 3
/
ATOMIC_SPECIES
La 138.91 La.upf
Ho 164.93 Ho.upf
Nd 144.24 Nd.upf
CELL_PARAMETERS angstrom
-4.8708 2.7147 3.2517
-6.0557 0.1842 -2.2270
-1.1725 -5.3738 2.7356
ATOMIC_POSITIONS angstrom
La -2.3083 -2.2182 1.5237
La -9.7908 -0.2567 2.2367
La -7.2013 1.9019 0.6793
La -4.8978 -4.3768 3.0811
Ho 0.0000 0.0000 0.0000
Nd -6.0495 -1.2374 1.8802
```

---

Record 3
This record from Alexandria via LeMat-Bulk describes La2NdHo3 after structural relaxation. The functional is PBE. Values from VASP.

Calculated values
energy above the lowest structure with this stoichiometry	51	meV per atom
space-group type	Cmc2_1 (36)

```
&SYSTEM
  ibrav = 0, nat = 12, ntyp = 3
/
ATOMIC_SPECIES
Ho 164.93 Ho.upf
Nd 144.24 Nd.upf
La 138.91 La.upf
CELL_PARAMETERS angstrom
6.5042 0.0000 0.0000
0.0000 7.4470 3.2852
0.0000 -0.7845 8.1016
ATOMIC_POSITIONS angstrom
Ho 3.8978 3.5481 2.6311
Ho 0.6458 3.1145 8.7556
Ho 0.6458 6.1071 7.0046
Ho 3.8978 0.5555 4.3822
Ho 5.3133 0.5951 1.0170
Ho 2.0612 6.0675 10.3697
Nd 5.1632 5.5361 9.4616
Nd 1.9111 1.1265 1.9252
La 0.4836 1.5078 5.8060
La 3.7357 2.3398 7.2279
La 3.7357 5.1548 5.5808
La 0.4836 4.3228 4.1589
```

---

Record 4
This record from Alexandria via LeMat-Bulk describes La3NdHo8 after structural relaxation. The functional is PBE. Values from VASP.

Calculated values
space-group type	I-42m (121)

```
&SYSTEM
  ibrav = 0, nat = 12, ntyp = 3
/
ATOMIC_SPECIES
Ho 164.93 Ho.upf
Nd 144.24 Nd.upf
La 138.91 La.upf
CELL_PARAMETERS angstrom
-5.8071 4.3967 4.1998
2.5329 -7.2272 3.4704
7.6768 3.3879 -0.5289
ATOMIC_POSITIONS angstrom
Ho 4.7442 -0.6767 4.3057
Ho -0.3600 1.2410 2.8303
Ho 8.3021 -1.5670 1.7128
Ho 3.8270 -4.5791 2.4741

A student and faculty member sit on the same side of a long table with a laptop open in front of the student-both look at the screen of the laptop